• File:
'''
Entry 1:
GGA-PBE Ho2BiO2, relaxed; calculated formation energy = -2.981 eV per atom
1.0
-1.934 1.934 6.766
1.934 -1.934 6.766
1.934 1.934 -6.766
Ho Bi O
2 1 2
direct
0.169 0.169 0.000
0.831 0.831 0.000
0.500 0.500 0.000
0.250 0.750 0.500
0.750 0.250 0.500

Entry 2:
GGA-PBE HoBiO3, relaxed; size of the total moment = 0.00 Bohr magnetons per cell; calculated formation energy = -2.802 eV per atom
1.0
6.209 0.000 0.000
0.000 8.435 0.000
0.000 0.000 5.790
Ho Bi O
4 4 12
direct
0.000 0.000 0.000
0.000 0.500 0.000
0.500 0.000 0.500
0.500 0.500 0.500
0.036 0.250 0.488
0.464 0.750 0.988
0.536 0.250 0.012
0.964 0.750 0.512
0.051 0.750 0.143
0.181 0.567 0.670
0.181 0.933 0.670
0.319 0.067 0.170
0.319 0.433 0.170
0.449 0.250 0.643
0.551 0.750 0.357
0.681 0.567 0.830
0.681 0.933 0.830
0.819 0.067 0.330
0.819 0.433 0.330
0.949 0.250 0.857

Entry 3:
GGA-PBE HoBiO3, relaxed; size of the total moment = 0.00 Bohr magnetons per cell; calculated formation energy = -2.806 eV per atom
1.0
2.999 1.731 5.061
-2.999 1.731 5.061
0.000 -3.463 5.061
Ho Bi O
2 2 6
direct
0.000 0.000 0.000
0.500 0.500 0.500
0.214 0.214 0.214
0.714 0.714 0.714
0.145 0.366 0.813
0.313 0.866 0.645
0.366 0.813 0.145
0.645 0.313 0.866
0.813 0.145 0.366
0.866 0.645 0.313

Entry 4:
GGA-PBE HoBiO3, relaxed; size of the total moment = 0.00 Bohr magnetons per cell; calculated formation energy = -2.788 eV per atom
1.0
2.995 1.729 5.058
-2.995 1.729 5.058
0.000 -3.458 5.058
Ho Bi O
2 2 6
direct
0.142 0.142 0.142
0.858 0.858 0.858
0.357 0.357 0.357
0.643 0.643 0.643
0.012 0.456 0.781
0.219 0.988 0.544
0.456 0.781 0.012
0.544 0.219 0.988
0.781 0.012 0.456
0.988 0.544 0.219

Entry 5:
GGA-PBE HoBi12O20, relaxed; size of the total moment = 0.00 Bohr magnetons per cell; calculated formation energy = -1.752 eV per atom
1.0
-5.175 5.175 5.175
5.175 -5.175 5.175
5.175 5.175 -5.175
Ho Bi O
1 12 20
direct
0.000 0.000 0.000
0.141 0.831 0.325
0.169 0.310 0.494
0.184 0.690 0.859
0.310 0.494 0.169
0.325 0.141 0.831
0.494 0.169 0.310
0.506 0.816 0.675
0.675 0.506 0.816
0.690 0.859 0.184
0.816 0.675 0.506
0.831 0.325 0.141
0.859 0.184 0.690
0.000 0.000 0.355
0.000 0.000 0.758
0.000 0.355 0.000
0.000 0.758 0.000
0.114 0.360 0.736
0.242 0.242 0.242
0.245 0.886 0.622
0.264 0.624 0.378
0.355 0.000 0.000
0.360 0.736 0.114
0.376 0.640 0.755
0.378 0.264 0.624
0.622 0.245 0.886
0.624 0.378 0.264
0.640 0.755 0.376
0.645 0.645 0.645
0.736 0.114 0.360
0.755 0.376 0.640
0.758 0.000 0.000
0.886 0.622 0.245

Entry 6:
GGA-PBE Sr2HoBiO6, relaxed; size of the total moment = 0.00 Bohr magnetons per cell; calculated formation energy = -2.865 eV per atom
1.0
5.927 0.000 0.000
0.000 6.102 0.000
-5.924 0.000 8.473
Sr Ho Bi O
4 2 2 12
direct
0.235 0.048 0.248
0.235 0.452 0.748
0.765 0.548 0.252
0.765 0.952 0.752
0.000 0.000 0.500
0.000 0.500 0.000
0.500 0.000 0.000
0.500 0.500 0.500
0.162 0.200 0.953
0.162 0.300 0.453
0.248 0.713 0.946
0.248 0.787 0.446
0.351 0.038 0.756
0.351 0.462 0.256
0.649 0.538 0.744
0.649 0.962 0.244
0.752 0.213 0.554
0.752 0.287 0.054
0.838 0.700 0.547
0.838 0.800 0.047

Entry 7:
GGA-PBE Ho5Bi2Pd, relaxed; size of the total moment = 0.01 Bohr magnetons per cell; calculated formation energy = -0.680 eV per atom
1.0
12.298 0.000 0.000
0.000 9.050 0.000
0.000 0.000 8.026
Ho Bi Pd
20 8 4
direct
0.000 0.250 0.041
0.000 0.750 0.959
0.067 0.051 0.679
0.067 0.449 0.679
0.197 0.750 0.369
0.213 0.250 0.334
0.287 0.750 0.834
0.303 0.250 0.869
0.433 0.551 0.179
0.433 0.949 0.179
0.500 0.250 0.459
0.500 0.750 0.541
0.567 0.051 0.821
0.567 0.449 0.821
0.697 0.750 0.131
0.713 0.250 0.166
0.787 0.750 0.666
0.803 0.250 0.631
0.933 0.551 0.321
0.933 0.949 0.321
0.173 0.508 0.068
0.173 0.992 0.068
0.327 0.008 0.568
0.327 0.492 0.568
0.673 0.508 0.432
0.673 0.992 0.432
0.827 0.008 0.932
0.827 0.492 0.932
0.014 0.750 0.588
0.486 0.250 0.088
0.514 0.750 0.912
0.986 0.250 0.412

Entry 8:
GGA-PBE Ho5BiPd2, relaxed; calculated formation energy = -0.699 eV per atom
1.0
-3.897 3.897 6.896
3.897 -3.897 6.896
'''

• Brief:
Your job: search the contents earlier on for the word "Pd" and echo each line that has it.

• Solution:
Ho Bi Pd